Type out the lines below from the one with "2.6967" to the one with "-3.7624 -3.6252" exactly.
Entry from the OMol25 dataset: a molecular structure, C40H32BrN5PtS2 (ωB97M-V/def2-TZVPD).

```
81
Properties=species:S:1:pos:R:3
Pt -0.6864 0.3251 0.8122
Br 4.5051 -5.3283 1.6065
S -2.1584 1.4657 -0.5139
S -2.2258 -0.0997 2.7868
N -4.0790 -0.6192 0.9022
N -0.2332 2.0093 1.8909
N 1.1205 -0.3034 1.9362
N -1.3400 -1.3675 -0.2042
N -4.8369 -0.1284 3.0443
C 2.4171 1.3306 -3.2861
C 3.1908 4.2189 0.0556
C 3.0223 -3.1536 0.5500
C -0.7458 -3.0340 1.5475
C 1.3196 3.0214 3.3880
C -1.4947 -3.6963 -0.6993
C 1.8585 4.4061 -0.2994
C 3.3313 1.3208 -4.3271
C 1.6122 0.6886 2.5711
C 2.2382 -2.0174 0.6272
C 3.1145 -3.2610 2.9603
C 3.1174 -1.0621 -4.5155
C 0.8897 1.9519 2.6287
C 1.8425 0.1378 -2.8415
C 3.7029 2.9330 0.1527
C 1.5368 2.0181 -0.4141
C -0.6300 4.2067 2.6925
C -3.0315 0.4868 -2.8902
C 1.9131 -1.4934 1.8723
C -2.3995 0.2084 -1.7007
C 0.5496 4.1751 3.4145
C -6.1307 -0.2762 2.6914
C 0.6993 0.8350 -0.6905
C 3.6927 0.1273 -4.9372
C -6.4294 -0.5925 1.4018
C 2.1919 -1.0511 -3.4852
C -1.1797 -2.6283 0.1779
C -2.3345 -2.1347 -2.3004
C 2.8793 1.8390 -0.0768
C -3.8033 -0.3010 2.1706
C 0.8631 0.0310 -1.7390
C 2.3446 -2.1097 3.0381
C 1.0393 3.3145 -0.5409
C -2.0104 -1.1086 -1.3970
C 3.4536 -3.7742 1.7175
C -2.9781 -1.8292 -3.5179
C -3.3136 -0.5350 -3.8104
C -5.3396 -0.7519 0.5357
C -2.0202 -3.4616 -1.9263
C -0.9933 3.1032 1.9393
H 3.3031 -3.5569 -0.4132
H 0.2563 -0.8599 -1.8203
H -3.2001 -2.6331 -4.2074
H -5.5042 -1.0049 -0.5072
H 0.0910 -3.7286 1.4951
H 3.7605 2.2531 -4.6695
H 2.1387 2.2733 -2.8401
H 2.5814 0.6217 3.0584
H 2.0537 -1.7146 4.0034
H -2.2383 -4.2752 -2.6073
H -3.3206 1.5063 -3.1125
H 1.4643 5.4081 -0.4123
H 3.3813 -1.9946 -4.9961
H 1.8909 -1.5248 -0.2720
H 3.2888 0.8341 -0.0465
H -6.8659 -0.1264 3.4694
H -1.5839 -3.5675 2.0040
H 0.0076 3.4591 -0.8445
H -4.6004 0.1200 3.9974
H -7.4486 -0.7147 1.0713
H 3.8327 5.0732 0.2251
H -0.4975 -2.2050 2.1889
H 2.2402 2.9405 3.9493
H 4.7490 2.7805 0.3858
H 4.4081 0.1273 -5.7485
H 0.8622 5.0296 3.9989
H -1.9061 3.0981 1.3628
H 1.7290 -1.9815 -3.1712
H 3.4461 -3.7566 3.8618
H -1.2979 -4.7020 -0.3546
H -3.8024 -0.2915 -4.7434
H -1.2706 5.0767 2.6967
```

Values from the calculation:
- Gap between HOMO and LUMO: 6.355 eV
- Total charge: +2
- LUMO: -6.30 eV
- F_max: 0.3 eV/A
- Electronic energy: -5306.53418 Eh

---

Entry from the OMol25 dataset: a molecular structure, C40H32ClIN6O3RhTe (ωB97M-V/def2-TZVPD).

```
85
Properties=species:S:1:pos:R:3
I -4.9298 -0.3748 -0.4126
Te 1.0020 0.1312 -1.3383
Rh 0.3484 1.3707 1.5632
Cl -4.9749 -3.3272 -2.8914
O -0.9341 -4.1952 1.2710
O 0.1806 -0.9043 0.9155
O -1.5137 -1.5662 2.2188
N 0.3430 3.0202 0.2076
N 0.4544 0.2967 3.4344
N 2.6853 -0.5133 3.0797
N 2.3058 1.2690 1.4538
N -1.7314 1.4841 1.7172
N 2.6942 2.8600 -0.3352
C 1.4294 -1.5609 4.7044
C 0.3142 -1.6560 5.4925
C 3.0808 1.9372 0.5212
C -3.1614 -3.9314 0.6019
C 0.2390 5.1294 -1.6441
C 5.5800 -0.2490 1.9611
C 0.2445 0.7360 -4.1001
C 1.4752 3.4072 -0.4612
C -0.9660 -0.1197 -2.0962
C -0.8422 0.0294 -3.5903
C 6.7334 0.0686 1.2796
C 5.5993 1.7515 -0.0616
C 1.5346 -0.5556 3.6803
C 1.2813 1.2549 -3.1342
C -0.5119 -1.7897 1.5622
C -2.4354 -3.7272 -2.0516
C -0.8014 3.7019 -0.0527
C -0.7127 -0.7500 5.2677
C -0.9074 4.7355 -0.9402
C 3.0795 0.3803 2.1045
C -1.4358 -3.9241 -1.0996
C -1.8205 -3.9943 0.2419
C -4.1418 -3.7513 -0.3534
C 1.4055 4.4708 -1.3997
C 0.3423 0.9490 -5.4701
C 0.0609 -3.2159 1.5032
C -3.8751 0.8081 0.9295
C -4.4977 1.7197 1.7634
C 4.4247 1.4340 0.6197
C -2.4930 0.6975 0.9599
C -0.6313 0.4525 -6.3217
C -3.7031 2.5077 2.5879
C -0.0145 -4.1279 -1.5468
C 6.7433 1.0610 0.2796
C 4.4162 0.4486 1.6208
C -3.7624 -3.6252 -1.6799
C -1.7078 -0.2608 -5.8112
C -0.5925 0.1772 4.2230
C -2.3320 2.3744 2.5232
C -1.8171 -0.4700 -4.4462
H -1.5738 0.6847 -1.6742
H -5.5741 1.8210 1.7687
H -1.8596 5.2241 -1.0793
H -1.9786 -0.0422 0.3675
H 0.6016 -3.2402 -1.3800
H 5.6034 2.5145 -0.8274
H -2.4603 -0.6577 -6.4780
H 0.4481 -4.9519 -1.0041
H 5.5623 -1.0114 2.7270
H 2.2832 -2.2115 4.8199
H -0.5472 0.6166 -7.3867
H -1.2706 5.0767 2.6967
```

Values from the calculation:
- Gap between HOMO and LUMO: 6.355 eV
- Total charge: +2
- LUMO: -6.30 eV
- F_max: 0.3 eV/A
- Electronic energy: -5306.53418 Eh

---

Entry from the OMol25 dataset: a molecular structure, C40H32ClIN6O3RhTe (ωB97M-V/def2-TZVPD).

```
85
Properties=species:S:1:pos:R:3
I -4.9298 -0.3748 -0.4126
Te 1.0020 0.1312 -1.3383
Rh 0.3484 1.3707 1.5632
Cl -4.9749 -3.3272 -2.8914
O -0.9341 -4.1952 1.2710
O 0.1806 -0.9043 0.9155
O -1.5137 -1.5662 2.2188
N 0.3430 3.0202 0.2076
N 0.4544 0.2967 3.4344
N 2.6853 -0.5133 3.0797
N 2.3058 1.2690 1.4538
N -1.7314 1.4841 1.7172
N 2.6942 2.8600 -0.3352
C 1.4294 -1.5609 4.7044
C 0.3142 -1.6560 5.4925
C 3.0808 1.9372 0.5212
C -3.1614 -3.9314 0.6019
C 0.2390 5.1294 -1.6441
C 5.5800 -0.2490 1.9611
C 0.2445 0.7360 -4.1001
C 1.4752 3.4072 -0.4612
C -0.9660 -0.1197 -2.0962
C -0.8422 0.0294 -3.5903
C 6.7334 0.0686 1.2796
C 5.5993 1.7515 -0.0616
C 1.5346 -0.5556 3.6803
C 1.2813 1.2549 -3.1342
C -0.5119 -1.7897 1.5622
C -2.4354 -3.7272 -2.0516
C -0.8014 3.7019 -0.0527
C -0.7127 -0.7500 5.2677
C -0.9074 4.7355 -0.9402
C 3.0795 0.3803 2.1045
C -1.4358 -3.9241 -1.0996
C -1.8205 -3.9943 0.2419
C -4.1418 -3.7513 -0.3534
C 1.4055 4.4708 -1.3997
C 0.3423 0.9490 -5.4701
C 0.0609 -3.2159 1.5032
C -3.8751 0.8081 0.9295
C -4.4977 1.7197 1.7634
C 4.4247 1.4340 0.6197
C -2.4930 0.6975 0.9599
C -0.6313 0.4525 -6.3217
C -3.7031 2.5077 2.5879
C -0.0145 -4.1279 -1.5468
C 6.7433 1.0610 0.2796
C 4.4162 0.4486 1.6208
C -3.7624 -3.6252 -1.6799